
Dynamic Stretching | What is it? When to use it?

Most of you will probably have heard about the benefits of Dynamic Stretching as preparation for training. Traditionally most of the coaches out there will try to do at least some type of dynamic routine during warm-up to get their athletes ready and proceed with their training session. But what is exactly Dynamic Stretching and what do we know today about it?

Definition of Dynamic Stretching

A dynamic stretch is a type of functionally based stretching exercise that uses sport-generic and sport-specific movements to prepare the body for activity.

In other words, it’s a controlled sport specific exercise that emphasizes moving across the range of motion of each movement in a controlled manner. And because it’s about preparing you for an activity, it usually places an emphasis on the movement requirements of the activity you are about to do and not on individual muscles.

So in any case, the movement that you are going to choose for your dynamic stretching routine should mimic in some way the movement of the sport or activity that you’re preparing for. For example, a standing high knee lift stretch mimics the knee lift of a runner.

In a dynamic stretching routine, the muscles don’t relax during the exercises but instead are active through the range of motion (ROM). The result is a controlled and active ROM. And this is exactly what you’re trying to do, you’re preparing the ROM of your joints for the ROM that will encounter during the activity.

How Dynamic stretching is different from Mobility drills and Ballistic stretching?

The mobility drills are in most cases just another term for dynamic stretching. That is to say, they are the same thing.

On the other hand, although Ballistic stretching seems similar, it’s actually different on some crucial key factors that alter its effect. Ballistic stretching involves a less controlled muscular effort and uses a bouncing-type movement in which the end position is not held. In contrast, in Dynamic stretching the person moves dynamically through his range of motion (ROM) with controlled mobility drills, thus avoids bouncing.

Also, ballistic stretching is considered to be the riskiest in terms of injuries, due to the rapid, alternating movements or ‘bouncing’ at end-range of motion, and some scientists suggest that is no longer recommended. Nevertheless, I personally believe that every type of stretch is suitable for specific occasions and that ballistic stretching could be beneficial for specific movements.

The benefits of dynamic stretching:

  • Increases body temperature.
  • Increases the blood flow to the working muscles.
  • Prepares the muscles for the activity that will encounter by practicing similar movements.
  • Improves the ROM needed for the specific activity.
  • Contributes to the mental preparation of the athlete for physical activity.

For all these reasons, dynamic stretching is the most preferred method of stretching during preparation for physical activity.

The basics for designing a Dynamic Stretching routine

## These data records were left in the entry by mistake
C5H6N4 in the gas phase in a non-equilibrium geometry, computed with ωB97M-V/def2-TZVPD.

Each line ends with the Mulliken charge.
Element x y z (Å)
N 0.2106 1.2760 1.1041  0.48
H 2.2554 1.3359 -1.6827  0.27
H -1.8606 -0.6679 2.2450  0.34
C 1.1773 1.2463 -1.9417  -1.13
C -1.2713 -1.4400 1.7636  -1.11
H 0.7045 2.2317 -1.7733  0.31
N -0.5200 -1.6489 -0.6033  -0.56
C -0.5572 -0.9646 0.5141  0.15
N 0.4095 2.1677 1.8859  -0.70
H -1.8665 -2.3072 1.4493  0.33
N 0.0946 -0.9054 -1.5779  -0.50
C 0.0807 0.3023 0.2543  1.42
H 1.0578 0.9758 -2.9948  0.32
C 0.5602 0.2180 -1.0846  0.09
H -0.4751 -1.8196 2.4420  0.27

Forces on atoms 1 to 6 (eV/Å):
N 1.88 6.04 5.35
H -0.56 0.10 -0.37
H -0.08 0.02 0.03
C 0.74 0.73 0.26
C 1.51 -0.75 -0.71
H 0.25 -0.37 -0.09

Properties
HOMO (eV): -9.4
Total charge: 0
DFT total energy (Eh): -413.054933
Frontier orbital gap (eV): 8.62
Lowest unoccupied orbital energy (hartree): -0.0269



C7H12 in the gas phase in a non-equilibrium geometry, computed with ωB97M-V/def2-TZVPD.

Each line ends with the Mulliken charge.
Element x y z (Å)
C 1.0366 -1.2546 0.4454  -0.67
C 0.7651 -0.2008 -0.6769  0.56
H 2.1069 -1.5550 0.3465  0.37
H -0.6061 1.3297 -1.3425  0.26
C -1.9436 2.0856 1.0693  -1.31
H -0.3726 -2.5472 -0.7554  0.31
H -2.6475 1.8334 1.8954  0.33
C -0.8026 1.0829 0.8113  -0.23
C -0.3126 0.8230 -0.4135  -0.28
H 1.3623 0.5031 -2.7667  0.24
H -0.4140 0.7873 1.7032  0.41
H -1.5323 3.1166 1.1805  0.27
H 1.0804 -0.7524 1.4115  0.35
H 0.4171 -3.2608 0.7026  0.31
C -0.1055 -2.3780 0.3016  -0.95
H -2.5966 2.1633 0.2655  0.36
C 1.6107 -0.0561 -1.8142  -0.89
H -0.9417 -2.0338 0.8759  0.29
H 2.6561 -0.1971 -1.8543  0.26

Forces on atoms 1 to 6 (eV/Å):
C 0.21 1.08 -1.86
C 2.46 1.11 -1.23
H -0.95 -0.60 -0.37
H -0.45 0.01 0.61
C 1.13 0.35 0.87
H 0.17 0.17 0.54

Properties
HOMO (eV): -8.1
Total charge: 0
Structure (SMILES): C=C(/C=C/C)CC
DFT total energy (Eh): -273.818951
Frontier orbital gap (eV): 9.00
Lowest unoccupied orbital energy (hartree): 0.0331



C4H6O2 in the gas phase in a non-equilibrium geometry, computed with ωB97M-V/def2-TZVPD.

Each line ends with the Mulliken charge.
Element x y z (Å)
H 0.4802 0.0157 -1.4740  0.37
C -0.6760 -0.3403 0.3509  0.21
H -2.5467 0.8081 0.8036  0.24
O 2.1878 -0.1266 1.3742  -0.52
H -1.8177 1.2166 -0.8277  0.23
O -1.8215 -0.8505 -0.3162  -0.41
C 0.6310 -0.2549 -0.4304  -0.45
H 1.5631 -1.0591 -0.6044  0.17
C 1.8711 0.1452 0.2410  -0.16
C -1.8398 0.5237 0.0157  -0.42
H -0.5939 -0.6270 1.3981  0.38
H 2.5623 0.5491 -0.5307  0.36

Forces on atoms 1 to 6 (eV/Å):
H 0.18 0.64 0.19
C 0.48 -0.41 0.01
H 0.34 -0.15 -0.14
O -0.05 0.47 0.27
H 0.19 -0.20 0.10
O 0.03 -0.31 -0.07

Properties
HOMO (eV): -9.7
Total charge: 0
Structure (SMILES): O=CC[C@H]1CO1
DFT total energy (Eh): -306.376137
Frontier orbital gap (eV): 10.48
Lowest unoccupied orbital energy (hartree): 0.0292



A molecular structure, C5H10O, computed with ωB97M-V/def2-TZVPD.

Each line ends with the Mulliken charge.
Element x y z (Å)

The first thing you need to do is a thorough analysis of the movements that you want to prepare for. Once that’s clear, then you break them down in smaller and simpler movements that you can perform as stretching exercises. If that’s not possible, try to find exercises that replicate those movements in the best way. One thing you must be careful about is to move through the ROM that is required in your sport, neither less nor more. This way, you will achieve a highly specific dynamic stretching program.

In contrast to other types of stretching, one of the big advantages of Dynamic stretching is that it provides the opportunity to perform combined movements. This means that in some cases you have the opportunity to combine some isolated movements and get a more ‘’sport specific’’ stretching exercise.

You should always perform it for a series of repetitions and sets. In most cases, 10-15 repetitions for 3-4 sets will be enough. Each exercise should start with low intensity (ROM and speed) and gradually increase through the repetitions and sets. Your total Dynamic warm-up routine should last no more than 10 to 15 minutes.

## These records of molecules were left in the page by mistake
- - -
[1]
10
Properties=species:S:1:pos:R:3 method="wB97M-V/def2-TZVPD" e_above_lowest_kcal_mol=71.1 total_energy_ha=-665.2723 homo_energy_ev=-9.261
C -1.69 1.14 -0.37
C -1.85 -0.13 -0.46
C 1.56 -1.13 0.55
O 2.13 1.18 -0.34
O -2.16 -1.25 -0.47
S 2.58 -0.21 -0.27
H -2.27 2.05 -0.83
H -0.94 1.39 0.32
H 1.78 -2.22 0.56
H 0.86 -0.83 1.30

***

[2]
12
Properties=species:S:1:pos:R:3 method="wB97M-V/def2-TZVPD" e_above_lowest_kcal_mol=112.5 total_energy_ha=-323.3405 homo_energy_ev=-8.907
O -1.06 1.75 0.01
C -0.82 -0.57 -0.09
C 0.48 -1.06 -0.44
C 0.76 0.39 -0.52
C 0.28 1.59 -0.34
C 1.20 -1.72 0.64
N 1.72 -2.22 1.54
H -1.10 1.90 0.95
H -1.18 -0.57 0.94
H -1.61 -0.49 -0.83
H 0.54 -1.55 -1.40
H 0.79 2.55 -0.45

***

[3]
102
Properties=species:S:1:pos:R:3 method="wB97M-V/def2-TZVPD" total_energy_ha=-2980.8903 smiles="CC[C@@H](I)O[P@@](=O)(O)OCC(=O)c1ccccc1.CCOC(C)=O.CCOC(C)=O.CCOC(C)=O.CCOC(C)=O.CCOC(C)=O" homo_energy_ev=-8.415
C -4.18 9.38 8.79
C -3.93 7.89 8.08
C -3.87 8.13 6.42
I -1.81 8.22 5.70
O -4.76 7.23 5.68
P -4.04 5.68 5.34
O -3.13 5.09 6.49
O -5.40 4.54 5.20
O -3.27 5.63 3.74
C -2.49 4.38 3.64
C -2.03 4.00 2.09
O -2.61 4.51 0.98
C -0.75 2.92 2.00
C -0.94 1.58 2.98
C 0.31 0.49 2.99
C 1.69 0.71 2.08
C 1.78 2.05 1.14
C 0.57 3.20 1.07
H -3.73 10.26 8.13
H -3.61 9.46 9.84
H -5.33 9.62 8.94
H -2.87 7.53 8.47
H -4.77 7.14 8.40
H -4.32 9.22 6.28
H -6.13 5.04 4.71
H -3.01 3.43 4.07
H -1.48 4.54 4.23
H -1.91 1.41 3.64
H 0.24 -0.46 3.67
H 2.60 -0.03 2.10
H 2.74 2.28 0.50
H 0.65 4.18 0.41
C 4.56 1.11 -3.74
C 4.80 1.51 -2.30
O 3.80 0.95 -1.43
C 3.87 -0.29 -0.88
C 4.88 -1.26 -1.42
O 3.07 -0.63 -0.01
H 4.63 0.02 -3.87
H 5.28 1.58 -4.40
H 3.55 1.40 -4.05
H 5.81 1.26 -1.96
H 4.71 2.60 -2.21
H 4.41 -1.86 -2.21
H 5.19 -1.92 -0.61
H 5.78 -0.79 -1.80
C 0.64 -5.72 -0.31
C 2.03 -6.31 -0.20
O 2.98 -5.55 -0.97
C 3.63 -4.46 -0.52
C 3.15 -3.79 0.74
O 4.55 -3.97 -1.17
H 0.61 -4.70 0.10
H -0.09 -6.33 0.23
H 0.34 -5.65 -1.36
H 2.36 -6.42 0.84
H 2.02 -7.32 -0.62
H 2.44 -3.01 0.48
H 4.01 -3.35 1.25
H 2.70 -4.48 1.45
C 4.93 -5.53 -3.78
C 6.37 -5.41 -3.30
O 7.14 -6.57 -3.69
C 7.76 -6.70 -4.88
C 7.41 -5.76 -5.99
O 8.54 -7.63 -5.07
H 4.88 -5.57 -4.87
H 4.34 -4.68 -3.43
H 4.48 -6.46 -3.41
H 6.85 -4.49 -3.62
H 6.37 -5.39 -2.20
H 6.61 -6.20 -6.59
H 8.30 -5.62 -6.61
H 7.12 -4.77 -5.65
C 0.42 -7.36 -6.21
C -1.00 -7.24 -5.69
O -1.02 -7.12 -4.26
C -0.89 -5.96 -3.58
C -0.40 -4.74 -4.32
O -1.09 -5.92 -2.37
H 1.01 -6.47 -5.98
H 0.43 -7.51 -7.29
H 0.93 -8.21 -5.73
H -1.55 -6.42 -6.16
H -1.54 -8.16 -5.93
H 0.69 -4.68 -4.22
H -0.85 -3.86 -3.86
H -0.68 -4.73 -5.37
C -7.18 5.99 -0.27
C -7.12 4.78 0.64
O -6.98 5.16 2.01
C -8.02 5.46 2.83
C -9.37 5.71 2.23
O -7.83 5.61 4.04
H -8.06 6.61 -0.04
H -7.23 5.69 -1.32
H -6.30 6.63 -0.12
H -7.97 4.10 0.50
H -6.22 4.19 0.39
H -9.49 6.78 2.03
H -10.13 5.39 2.95
H -9.55 5.14 1.32
- - -


  1. Mann, DP, and Jones, MT. Guidelines to the implementation of a dynamic stretching program. Strength Cond J 21:53-55, 1999.
  2. Medicine ACoS. ACSM’s guidelines for exercise testing and prescription. 7th ed. Baltimore: Lippincot Williams Wilkins; 2006.
  3. Bandy, WD, Irion, JM, and Briggler, M. The effect of static stretch and dynamic range of motion training on the flexibility of the hamstring muscles. J Orthop Sports Phys Ther 27:295-300, 1998.
  4. Hedrick, A. Flexibility, body-weight and stability ball exercises. In NSCA’s Essentials of Personal Training. Earle, RW, and Baechle, TR, eds. Champaign, IL: Human Kinetics, 268-294, 2004.